Shaping the Social Threefold
Atelier for the Social Quest is a self-managed study course. Atelier here means a social art studio, small or large groups of people who are seeking to make their ideas and perceptions something living and active in the world. The reading material isn’t lengthy but many refreshing and radical perspectives are introduced.
The aim is to cultivate the kind of phenomenology which awakens practical imaginative understanding, beyond just theoretical knowing. We begin with careful observations of the phenomena around us; this is how we proceed as scientists. Such observations can then become windows to the spirit at work in the world; this calls for the waking up of an artistic form of perception. Rudolf Steiner spoke of a living picture imagination; Goethe called it a higher beholding.
The Atelier for the Social Quest course can be undertaken solo but is best worked with in a group - this community-building activity is a key to the social quest. Although each topic involves some individual preparation the main work involves observing natural and social phenomena with others and sharing insights.
The text is interrupted by data records >
********
Entry 1:
This record from OMol25 describes a structure of composition C21H47OP3STi at a distorted geometry. The level of theory is ωB97M-V/def2-TZVPD.

Positions of all 74 atoms, in Å:
Ti (-0.4063, 0.2582, 0.3491)
S (-1.2173, -0.9943, -1.9951)
P (1.8696, 1.0362, 1.4272)
P (-2.3048, 1.7736, 0.4657)
P (0.6420, 1.5087, -1.6437)
O (-0.6203, -0.7157, 2.3131)
C (-0.1494, -3.8854, -4.6865)
C (-0.8435, -2.1531, 2.5548)
C (1.9620, -3.4227, -0.3428)
C (2.8811, -2.4938, -0.0004)
C (0.4135, -2.8555, 3.0443)
C (-0.6018, 2.0363, -2.8898)
C (-1.9041, 3.4671, -0.0404)
C (-0.4319, -0.2967, 4.7104)
C (2.0090, 0.6162, -2.4673)
C (1.4127, 3.1234, -1.2932)
C (-0.9925, 0.1641, 3.4044)
C (-2.0935, -1.8760, -4.4326)
C (1.5235, 2.7502, 2.0604)
C (-1.2224, -3.8099, -5.6070)
C (-0.0942, -2.9729, -3.6257)
C (-3.1083, 2.0124, 2.0660)
C (-2.2130, -2.8153, -5.4703)
C (-1.1011, -1.9787, -3.3921)
C (3.5008, 1.2423, 0.6484)
C (-3.5961, 1.0704, -0.5981)
C (2.3006, 0.1627, 2.9726)
H (1.7389, 0.6588, 3.7706)
H (2.1102, 0.9816, -3.5037)
H (-3.5433, 1.0627, 2.4067)
H (-4.4046, 1.8137, -0.6520)
H (3.5833, 2.1506, 0.0347)
H (-1.7240, -2.2810, 3.2412)
H (-3.0367, -2.8036, -6.1964)
H (-3.2320, 0.8066, -1.6042)
H (-3.9583, 0.1349, -0.1458)
H (0.6014, -4.6863, -4.8068)
H (-2.8405, -1.0849, -4.3704)
H (-1.2435, -4.4663, -6.4818)
H (0.1967, -1.2398, 0.5614)
H (3.0173, -2.2950, 1.0618)
H (-0.9229, -1.2421, 4.9782)
H (0.2266, -3.9109, 3.3411)
H (-1.6215, 3.5351, -1.1002)
H (1.8186, -0.4687, -2.4157)
H (1.7040, -3.8050, -1.3156)
H (3.3748, 0.2722, 3.1735)
H (-1.1297, -2.6511, 1.6054)
H (1.2320, -2.8796, 2.2755)
H (0.7906, 3.6821, -0.5799)
H (2.9303, 0.8575, -1.9134)
H (3.7461, 0.3837, -0.0007)
H (2.2482, 2.9596, 2.8618)
H (-3.8832, 2.7711, 1.9106)
H (-0.7117, 0.5213, 5.3725)
H (0.6567, -0.4016, 4.6609)
H (1.5038, 3.6542, -2.2486)
H (-2.3655, 2.3578, 2.8000)
H (3.2050, -1.7181, -0.6854)
H (-1.0698, 3.8407, 0.5715)
H (2.4089, 2.9558, -0.8765)
H (-0.4897, 3.1203, -3.0912)
H (-0.6069, 1.1618, 3.1355)
H (-2.0911, 0.1971, 3.4236)
H (-0.4974, 1.5031, -3.8529)
H (2.0265, -0.9039, 2.9365)
H (0.7718, -2.3492, 3.9555)
H (1.6436, 3.4830, 1.2531)
H (-1.6338, 1.8791, -2.5603)
H (0.7504, -2.9811, -2.9649)
H (-2.8211, 4.0412, 0.1566)
H (4.2543, 1.3042, 1.4470)
H (1.1729, -3.6872, 0.4385)
H (0.5002, 2.8140, 2.4612)

Results
Orbital gap (alpha / beta) = 0.240 / 0.220 Ha
E_LUMO (alpha / beta) = -0.38643 / -0.41423 hartree
Molar mass = 488.5 g mol⁻¹
Highest occupied orbital energy (alpha / beta) = -17.05 / -17.27 eV
Multiplicity = 2
Largest force on an atom = 3.94 eV/Å
Energy relative to the best compared isomer or geometry (same formula, charge and spin) = 2.998 eV
Net charge = +3

***

Entry 2:
This record from OMol25 describes a structure of composition C21H48BBrN9O5P3S2 at a distorted geometry. The level of theory is ωB97M-V/def2-TZVPD.

Positions of all 90 atoms, in Å:
Br (-0.4062, -3.8368, 2.2784)
S (1.0240, -4.7048, -4.9884)
S (-2.0404, -7.7638, -3.1227)
P (-2.9038, 3.1916, 0.8573)
********
To see a sample of work material from three units Nature, Society and Self, click the button above.
Here the text breaks off for calculated molecules:
-- begin --
No. 1
{
  "formula": "C31H34KN2P2S3",
  "method": "wB97M-V/def2-TZVPD",
  "total_energy_ev": -103090.2131,
  "multiplicity": 1,
  "orbital_gap_ev": 5.48,
  "total_charge": -1,
  "homo_energy_ev": -3.63,
  "symbols": ["C", "K", "H", "C", "H", "H", "C", "H", "C", "S", "C", "H", "C", "H", "C", "C", "P", "C", "H", "H", "H", "H", "H", "H", "S", "H", "H", "H", "C", "N", "H", "H", "H", "C", "H", "H", "H", "H", "C", "H", "N", "C", "C", "C", "C", "C", "C", "C", "P", "H", "H", "H", "H", "H", "C", "C", "C", "C", "H", "S", "H", "C", "C", "H", "C", "C", "H", "H", "C", "C", "C", "C", "H"],
  "positions_angstrom": [[-2.277, 0.030, 3.558], [2.043, 1.292, -1.249], [-1.044, -5.447, -3.211], [5.068, 2.780, -0.335], [1.964, 3.991, -0.694], [2.366, 5.167, 1.256], [-0.041, -3.222, 3.178], [4.455, 2.459, 2.513], [-4.208, -0.321, -3.667], [2.499, -1.893, -0.661], [-0.397, -1.647, -3.184], [1.554, -2.298, 2.056], [1.887, 3.277, 2.139], [5.925, 2.758, -1.013], [4.754, 0.787, 1.133], [-0.867, -4.377, -3.207], [-1.240, 0.946, -0.311], [-0.194, -2.537, 0.857], [4.369, -0.231, 1.034], [-1.005, -1.675, -5.247], [-2.076, -2.954, -0.079], [-4.862, -0.648, -4.467], [-0.528, -0.033, 2.285], [0.538, -3.297, 4.093], [-0.928, 2.951, -0.460], [-3.408, 1.339, -4.770], [-3.340, -1.120, -0.493], [-1.432, -4.119, -5.269], [-2.235, 0.687, 1.228], [4.478, 1.456, -0.140], [-3.102, -3.950, 1.934], [-1.802, -4.117, 4.035], [3.852, 3.586, -1.937], [-3.387, 0.789, -3.836], [-1.756, -0.353, 4.429], [4.695, 0.823, -0.898], [-4.108, 1.380, 0.441], [-5.350, 1.043, 2.550], [-0.838, -2.266, -4.352], [5.449, 3.143, 0.622], [2.758, 3.639, -0.172], [-1.082, -3.633, -4.365], [2.733, 4.137, 1.202], [-0.418, -3.752, -2.047], [4.026, 3.787, -0.875], [-0.196, -2.374, -2.016], [-2.542, 1.201, -2.809], [0.178, 0.088, -0.329], [0.507, -1.523, -0.528], [3.760, 4.174, 1.569], [-0.239, -4.339, -1.153], [1.930, 3.693, 3.148], [5.831, 0.720, 1.349], [0.845, 3.290, 1.803], [-4.188, -1.005, -2.461], [-3.634, 0.325, 3.630], [-1.351, -3.685, 3.148], [-1.502, -3.019, 0.836], [-0.209, -0.585, -3.165], [2.264, 1.501, 2.154], [4.447, 4.800, -0.805], [4.070, 1.452, 2.331], [-4.293, 0.807, 2.502], [-1.916, 2.078, -2.921], [-2.494, 0.506, -1.601], [-3.339, -0.589, -1.437], [-4.178, 0.178, 4.556], [-4.829, -1.868, -2.315], [0.532, -2.660, 2.041], [-2.079, -3.590, 1.970], [-1.583, 0.207, 2.363], [-3.593, 0.992, 1.314], [4.311, 0.868, 3.219]],
-- stop --
So much for the calculated molecules:
No assessment tasks are involved and a high degree of self-discipline and self-motivation is necessary. The readings are the individual preparation for a meeting; the exercises can be carried out individually, then shared and developed in the meeting. Or, otherwise, the exercises can be worked on collaboratively.
The course co-ordinator is available to answer any questions by email and can link up with a group via Zoom at several key moments in the course if requested.
The course is intended to fit easily alongside activities which may include work and even other forms of study.
Time frame
Each of the units of this course is intended to be worked with over a minimum of ten weeks; the content allows for the gradual development of an imaginative way of understanding living form. Individual preparation doesn’t have to be carried out daily but with about 15-20 minutes every few days the course can be done well.
Work on this course can be freely developed in your journal in any way that suits you. For example, it might include descriptive text, poetry or poetic prose and illustrations. For each theme there are three or four exercises which involve the practice of “exact imagination” and suggestions are made as to how this research can be written up. Genuine endeavour is the most important thing, not artistic skill. The journal is a private exploration although it can be shared within your group.
Method of delivery
The work materials for the the course will be delivered to you by email when you have enrolled. The Nature unit will be sent first; when you have completed that please contact the co-ordinator to say whether you want to move to the Society, Economics or Self units. A contact person should be chosen to distribute the work material to the others.

The water studies of the Goethean researcher Theodor Schwenk were influential in the development of chaos theory (see J. Gleick, Chaos: Making a New Science).

Goethe, drawings of plants and animals